I need a solution where authenticated users are allowed access to certain Controllers/Actions based not on their user type :ie. admin or normal user (although I may add this using standard ACL later) but according to the current status of their user.
For example :
Have they been a member of the site for more than 1 week?
Have they filled in their profile fully?
Actually, now that I think about it, kind of like they have on this site with their priviledges and badges.
For dynamic condition-based tests like you are describing, you can use dynamic assertions in your Zend_Acl rules.
For example:
class My_Acl_IsProfileComplete implements Zend_Acl_Assert_Interface
protected $user;
public function __construct($user)
$this->user = $user;
public function assert(Zend_Acl $acl,
Zend_Acl_Role_Interface $role = null,
Zend_Acl_Resource_Interface $resource = null,
$privilege = null)
// check the user's profile
if (null === $this->user){
return false;
return $this->user->isProfileComplete(); // for example
Then when defining your Acl object:
$user = Zend_Auth::getInstance()->getIdentity();
$assertion = new My_Acl_Assertion_IsProfileComplete($user);
$acl->allow($role, $resource, $privilege, $assertion);
Of course, some of the details depend upon the specifics of what you need to check and what you can use in your depend upon what you store in your Zend_Auth::setIdentity() call - only a user Id, a full user object, etc. And the roles, resources, and privileges are completely app-specific. But hopefully this gives the idea.
Also, since the assertion object requires a user object at instantiation, this dynamic rule cannot be added at Bootstrap. But, you can create the core Acl instance with static rules during bootstrap and then register a front controller plugin (to run at preDispatch(), say) that adds the dynamic assertion. This way, the Acl is fully populated by the time you get to your controllers where presumably you would be checking them.
Just thinking out loud.
I'm trying to add some functionality to the back end of a Bolt CMS installation that does the following:
Check if the user is a member of the "limited editor" group.
If so, only list content which they, personally, own.
This needs to be within the controller, not using Twig.
I've got the user object using
$user = $app['users']->getCurrentUser();
I guess I could use
in_array('limitededitor', $user["roles"]);
But I wondered if there was any existing function in Bolt that would streamline this, like "isAllowed" but for checking role membership?
This is what I've used in the past to determine whether I mount a controller (and thus give access to the new urls), the key part is the users service has a hasRole method but you need to check by user id.
public function checkAuth()
$currentUser = $this->app['users']->getCurrentUser();
$currentUserId = $currentUser['id'];
foreach (['admin', 'root', 'developer', 'editor'] as $role) {
if ($this->app['users']->hasRole($currentUserId, $role)) {
return true;
return false;
Case: I'm building a forum using Laravel's Authorization as a backbone using policies. Examples of checks I run are stuff like #can('view', $forum), and #can('reply', $topic), Gate::allows('create_topic', $forum) etc. These checks basically checks if the users role has that permission for the specific forum, topic or post. That way I can give roles very specific permissions for each forum in my application.
The issue is that all of these checks go through the Gate class, specifically a method called raw() which in its first line does this:
if (! $user = $this->resolveUser()) {
Attached: data records:
Entry 1:
{
  "formula": "Mg2Cr3MoS8",
  "functional": "PBE-GGA",
  "state": "relaxed",
  "lattice_angstrom": [[1.996, 3.289, 6.216], [-1.520, -3.064, 6.461], [5.352, -2.803, 4.116]],
  "species": ["Mg", "Mg", "Cr", "Cr", "Cr", "Mo", "S", "S", "S", "S", "S", "S", "S", "S"],
  "fractional_positions": [[0.874, 0.874, 0.874], [0.126, 0.126, 0.126], [0.500, 0.500, 0.000], [0.000, 0.500, 0.500], [0.500, 0.000, 0.500], [0.500, 0.500, 0.500], [0.736, 0.736, 0.736], [0.259, 0.259, 0.712], [0.259, 0.712, 0.259], [0.712, 0.259, 0.259], [0.741, 0.288, 0.741], [0.288, 0.741, 0.741], [0.264, 0.264, 0.264], [0.741, 0.741, 0.288]],
  "dft_energy_ev_per_atom": -6.26,
  "spacegroup": "No. 166",
  "m_tot_mub_per_fu": 12.0,
  "delta_e_f_mev_per_atom": -1108,
  "vol_a3_per_atom": 19.5
}

***

Entry 2:
{
  "formula": "K3CoC6N6",
  "functional": "PBE-GGA",
  "state": "relaxed",
  "lattice_angstrom": [[-5.939, -5.595, -1.989], [0.438, -3.901, 9.664], [-18.895, 17.273, 7.827]],
  "species": ["K", "K", "K", "K", "K", "K", "K", "K", "K", "K", "K", "K", "K", "K", "K", "K", "K", "K", "K", "K", "K", "K", "K", "K", "Co", "Co", "Co", "Co", "Co", "Co", "Co", "Co", "C", "C", "C", "C", "C", "C", "C", "C", "C", "C", "C", "C", "C", "C", "C", "C", "C", "C", "C", "C", "C", "C", "C", "C", "C", "C", "C", "C", "C", "C", "C", "C", "C", "C", "C", "C", "C", "C", "C", "C", "C", "C", "C", "C", "C", "C", "C", "C", "N", "N", "N", "N", "N", "N", "N", "N", "N", "N", "N", "N", "N", "N", "N", "N", "N", "N", "N", "N", "N", "N", "N", "N", "N", "N", "N", "N", "N", "N", "N", "N", "N", "N", "N", "N", "N", "N", "N", "N", "N", "N", "N", "N", "N", "N", "N", "N"],
return false;
This presents an issue when dealing with forums. Guests to my application should also be allowed to view my forum, however as you can see from the code above, Laravels Gate class automatically returns false if the user is not logged in.
I need to be able to trigger my policies even if there is no user. Say in my ForumPolicy#view method, I do if(User::guest() && $forum->hasGuestViewAccess()) { return true }
But as you can see, this method will never trigger.
Is there a way for me to still use Laravel's authorization feature with guest users?
I'm not aware of a super natural way to accomplish this, but if it's necessary, you could change the gate's user resolver, which is responsible for finding users (by default it reads from Auth::user()).
Since the resolver is protected and has no setters, you'll need to modify it on creation. The gate is instantiated in Laravel's AuthServiceProvider. You can extend this class and replace the reference to it in the app.providers config with your subclass.
It's going to be up to you what kind of guest object to return (as long as it's truthy), but I'd probably use something like an empty User model:
protected function registerAccessGate()
$this->app->singleton(GateContract::class, function ($app) {
return new Gate($app, function () use ($app) {
$user = $app['auth']->user();
if ($user) {
return $user;
return new \App\User;
• Misplaced records of crystals:
+++
First-principles (GGA-PBE) data for Sm6Cu8P8O3 after structural relaxation, as listed in the Materials Project.

## Properties
* calculated density: 6.99 g cm⁻³
* DFT formation energy: -1.314 eV per atom
* space-group type: C222, No. 21
* energy: -6.00 eV/atom

Lattice parameters (Å, degrees): 13.431 13.431 5.557 90.00 90.00 156.15
Sites, in units of the cell vectors:
Sm  0.314  0.217  0.734
Sm  0.783  0.686  0.266
Sm  0.217  0.314  0.266
Sm  0.686  0.783  0.734
Sm  0.500  0.000  0.250
Sm  0.000  0.500  0.750
Cu  0.346  0.654  0.500
Cu  0.845  0.155  0.000
Cu  0.846  0.154  0.500
Cu  0.346  0.654  0.000
Cu  0.154  0.846  0.500
Cu  0.654  0.346  0.000
Cu  0.654  0.346  0.500
Cu  0.155  0.845  0.000
P  0.141  0.349  0.755
P  0.651  0.859  0.245
P  0.349  0.141  0.245
P  0.859  0.651  0.755
P  0.457  0.044  0.749
P  0.956  0.543  0.251
P  0.044  0.457  0.251
P  0.543  0.956  0.749
O  0.500  0.500  0.500
O  0.500  0.500  0.000
O  0.000  0.000  0.500

~~~~~

Record 1
Material: CsPdBr3
Method: DFT, r2SCAN
State: optimized geometry

```
CsPdBr3
1.0
-3.090 -4.105 -1.211
0.266 -1.676 5.000
-4.272 2.868 1.187
Br Pd Cs
3 1 1
direct
0.500 0.012 0.502
0.500 0.512 0.003
0.000 0.512 0.501
0.500 0.512 0.502
0.000 0.012 0.001
```

## Properties
Energy of formation from the pure elements ... -1.096 eV per atom
Crystal system ... monoclinic
Magnetic moment ... 0.00 Bohr magnetons per cell

---

Record 2
Material: Cs2PdBr6
Method: DFT, r2SCAN
State: optimized geometry

```
Cs2PdBr6
1.0
3.930 -5.531 3.437
1.361 0.381 7.473
-3.523 -4.777 4.756
Br Cs Pd
6 2 1
direct
0.768 0.768 0.232
0.768 0.232 0.768
0.232 0.768 0.768
0.768 0.232 0.232
0.232 0.232 0.768
0.232 0.768 0.232
0.750 0.750 0.750
0.250 0.250 0.250
0.000 0.000 0.000
```

## Properties
Energy of formation from the pure elements ... -1.186 eV per atom
Crystal system ... cubic
Magnetic moment ... 0.00 Bohr magnetons per cell

---

Record 3
Material: CsReBr4
Method: DFT, r2SCAN
State: optimized geometry

```
CsReBr4
1.0
-9.036 -1.541 4.855
-3.919 -7.311 -9.613
5.049 -10.628 6.025
Re Br Cs
8 32 8
direct
0.059 0.014 0.069
0.441 0.514 0.069
0.059 0.486 0.569
0.559 0.486 0.931
0.559 0.014 0.431
0.941 0.514 0.431
0.941 0.986 0.931
0.441 0.986 0.569
0.971 0.794 0.894
0.848 0.161 0.888
0.588 0.484 0.216
0.277 0.061 0.004
0.588 0.016 0.716
0.529 0.294 0.894
0.529 0.206 0.394
0.471 0.706 0.106
0.971 0.706 0.394
0.412 0.516 0.784
0.723 0.561 0.496
0.223 0.939 0.504
0.348 0.339 0.112
0.912 0.516 0.716
0.152 0.661 0.612
0.912 0.984 0.216
0.277 0.439 0.504
0.029 0.206 0.106
0.652 0.661 0.888
0.723 0.939 0.996
0.088 0.484 0.284
0.152 0.839 0.112
0.777 0.061 0.496
0.652 0.839 0.388
0.777 0.439 0.996
0.471 0.794 0.606
0.029 0.294 0.606
0.088 0.016 0.784
0.223 0.561 0.004
0.848 0.339 0.388
0.348 0.161 0.612
0.412 0.984 0.284
0.333 0.804 0.865
0.333 0.696 0.365
0.167 0.196 0.365
0.833 0.696 0.135
0.667 0.304 0.635
0.167 0.304 0.865
0.667 0.196 0.135
0.833 0.804 0.635
```

## Properties
+++
You could go a step further and set a special property on it like $user->isGuest, or even define a special guest class or constant.
Alternatively you could adjust your process at the Auth level so that all logged-out sessions are wrapped in a call to Auth::setUser($guestUserObject).
I just released a package that allows permission logic to be applied to guest users. It slightly modifies Laravel's Authorization to return a Guest object instead of null when no user is resolved. Also every authorization check now makes it to the Gate instead of failing authorization instantly because there isn't an authenticated user.
I am making a social website using Zend. The site allows users to become friends and access each other's profiles and blogs. I also want users to have control over their privacy, which can take parameters "Friends Only" and "Public". I looked at Zend_Acl but it seems to be only able to to handle single user's accessibility not users have relationship. Any ideas about the best way to do this?
For your purposes, if you use Zend_Acl, you should look at assertions.
Given the complex nature of the relationships between users in your applications, most of the access rules you will query seem very dynamic so they will largely rely on assertions that can use more complex logic to determine accessibility.
You should be able to accomplish what you want using Zend_Acl though.
You may set up an ACL rule like this:
$acl->allow('user', 'profile', 'view', new My_Acl_Assertion_UsersAreFriends());
The ACL assertion itself:
class My_Acl_Assertion_UsersAreFriends implements Zend_Acl_Assert_Interface
public function assert(Zend_Acl $acl,
Zend_Acl_Role_Interface $role = null,
Zend_Acl_Resource_Interface $resource = null,
$privilege = null)
return $this->_usersAreFriends();
protected function _usersAreFriends()
// get UserID of current logged in user
// assumes Zend_Auth has stored a User object of the logged in user
$user = Zend_Auth::getInstance()->getStorage();
$userId = $user->getId();
// get the ID of the user profile they are trying to view
// assume you can pull it from the URL
// or your controller or a plugin can set this value another way
$userToView = $this->getRequest()->getParam('id', null);
// call your function that checks the database for the friendship
$usersAreFriends = usersAreFriends($userId, $userToView);
return $usersAreFriends;
Now with this assertion in place, the access will be denied if the 2 user IDs are not friends.
Check it like:
if ($acl->isAllowed('user', 'profile', 'view')) {
// This will use the UsersAreFriends assertion
// they can view profile
} else {
// sorry, friend this person to view their profile
Hope that helps.
I can't get my Zend_Navigation to work properly,
When logging in user with AUth/Doctrine, I am pulling out the roles assigned to the user (usually it's a few of them) from a Many-to-many table,
Then in the bootstrap.php on line:
I get error:
'$role must be a string, null, or an instance of Zend_Acl_Role_Interface; array given'
However if I loop through the roles with foreach - the previous roles are being overwritten by the following ones and I get the nav only for last role,
Does anyone have any logical solution for this ?
Really appreciate,
I had the same problem but approached the solution from a slightly different angle. Instead of modifying the Zend_Navigation object to accept two or more roles, I extended Zend_Acl and modified the isAllowed() method to check against all those roles. The Zend_Navigation objects use the isAllowed() method, so overriding this solved the issue.
class My_Acl extends Zend_Acl
public function isAllowed($role = null, $resource = null, $privilege = null)
// Get all the roles to check against
$userRoles = Zend_Registry::get('aclUserRoles');
$isAllowed = false;
// Loop through them one by one and check if they're allowed
foreach ($userRoles as $role)
// Using the actual ACL isAllowed method here
if (parent::isAllowed($role->code, $resource))
$isAllowed = true;
return $isAllowed;
Then, instead of creating an instance of Zend_Acl, use My_Acl, pass that to your navigation object and it should work.
You should really never, ever override isAllowed(), and yes there is a solution. Create a class that implements Zend_Acl_Role_Interface and if memory serves it requires defining a single method getRole(), this could, in fact, be your model that you use to authenticate a user against and allow that class to handle determining the role. A user should only have a single role. If access to the resource should be granted to users of multiple roles but only under certain conditions, then you should use an assertion, thats why they are there.
I have a CMS built on the Zend Framework. It uses Zend_Auth for "CMS User" authentication. CMS users have roles and permissions that are enforced with Zend_Acl. I am now trying to create "Site Users" for things like an online store. For simplicity sake I would like to use a separate instance of Zend_Auth for site users. Zend_Auth is written as a singleton, so I'm not sure how to accomplish this.
Reasons I don't want to accomplish this by roles:
Pollution of the CMS Users with Site Users (visitors)
A Site User could accidentally get elevated permissions
The users are more accurately defined as different types than different roles
The two user types are stored in separate databases/tables
One user of each type could be signed in simultaneously
Different types of information are needed for the two user types
Refactoring that would need to take place on existing code
In that case, you want to create your own 'Auth' class to extend and remove the 'singleton' design pattern that exists in Zend_Auth
What comes next are calculated crystals, not part of the entry:
A relaxed structure of Li2Ca. Source: the Materials Project, functional GGA-PBE.

## Properties
The formation energy comes out at -0.023 eV per formula unit. The crystal system is hexagonal. The energy relative to the lowest polymorph listed for this composition is 0.01 eV per formula unit.

Cell: 6.1528 6.1528 10.0921 Å, 90.00 90.00 120.00°
Last column: nearest neighbours and their distance in Å.
Sites, in units of the cell vectors:
Li (0.0000, 0.0000, 0.0000)  6 Li 3.09
Li (0.0000, 0.0000, 0.5000)  6 Li 3.09
Li (0.1670, 0.3340, 0.2500)  6 Li 3.07-3.09
Li (0.1670, 0.8330, 0.2500)  6 Li 3.07-3.09
Li (0.3340, 0.1670, 0.7500)  6 Li 3.07-3.09
Li (0.6660, 0.8330, 0.2500)  6 Li 3.07-3.09
Li (0.8330, 0.1670, 0.7500)  6 Li 3.07-3.09
Li (0.8330, 0.6660, 0.7500)  6 Li 3.07-3.09
Ca (0.3333, 0.6667, 0.5628)  12 Li 3.61-3.62, 4 Ca 3.77-3.78
Ca (0.3333, 0.6667, 0.9372)  12 Li 3.61-3.62, 4 Ca 3.77-3.78
Ca (0.6667, 0.3333, 0.0628)  12 Li 3.61-3.62, 4 Ca 3.77-3.78
Ca (0.6667, 0.3333, 0.4372)  12 Li 3.61-3.62, 4 Ca 3.77-3.78



A relaxed structure of Li2Ca. Source: the Materials Project, functional GGA-PBE.

## Properties
The formation energy comes out at -0.035 eV per formula unit. The crystal system is cubic. The energy relative to the lowest polymorph listed for this composition is 0.00 eV per formula unit.

Cell: 6.1735 6.1735 6.1735 Å, 60.00 60.00 60.00°
Last column: nearest neighbours and their distance in Å.
Sites, in units of the cell vectors:
Li (0.0000, 0.0000, 0.0000)  6 Li 3.09
Li (0.0000, 0.0000, 0.5000)  6 Li 3.09
Li (0.0000, 0.5000, 0.0000)  6 Li 3.09
Li (0.5000, 0.0000, 0.0000)  6 Li 3.09
Ca (0.3750, 0.3750, 0.3750)  12 Li 3.62, 4 Ca 3.78
Ca (0.6250, 0.6250, 0.6250)  12 Li 3.62, 4 Ca 3.78



A relaxed structure of LiCaMg6. Source: the Materials Project, functional GGA-PBE.

## Properties
The formation energy comes out at 0.054 eV per formula unit. The energy relative to the lowest polymorph listed for this composition is 0.00 eV per formula unit.

Cell: 5.2474 6.5804 11.5085 Å, 90.00 90.00 90.00°
Last column: nearest neighbours and their distance in Å.
Sites, in units of the cell vectors:
Li (0.5000, 0.0000, 0.6625)  10 Mg 3.22-3.41, 2 Ca 3.26
Mg (0.0000, 0.7444, 0.0815)  2 Li 3.22, 8 Mg 3.22-3.38, 2 Ca 3.29-3.34
Mg (0.5000, 0.5000, 0.6675)  10 Mg 3.26-3.32, 2 Li 3.29
Mg (0.5000, 0.0000, 0.1675)  10 Mg 3.26-3.32, 2 Li 3.29
Mg (0.5000, 0.2564, 0.9197)  8 Mg 3.21-3.37, 2 Li 3.22-3.41, 2 Ca 3.28
Mg (0.0000, 0.5000, 0.8364)  10 Mg 3.22-3.38, 2 Ca 3.29
Mg (0.5000, 0.7564, 0.4197)  8 Mg 3.21-3.37, 2 Li 3.22-3.41, 2 Ca 3.28
Li (0.5000, 0.5000, 0.1625)  10 Mg 3.22-3.41, 2 Ca 3.26
Ca (0.0000, 0.0000, 0.8311)  2 Li 3.26, 10 Mg 3.28-3.34
Mg (0.5000, 0.2436, 0.4197)  8 Mg 3.21-3.37, 2 Li 3.22-3.41, 2 Ca 3.28
Mg (0.5000, 0.7436, 0.9197)  8 Mg 3.21-3.37, 2 Li 3.22-3.41, 2 Ca 3.28
Mg (0.0000, 0.0000, 0.3364)  10 Mg 3.22-3.38, 2 Ca 3.29
Ca (0.0000, 0.5000, 0.3311)  2 Li 3.26, 10 Mg 3.28-3.34
Mg (0.0000, 0.2556, 0.0815)  2 Li 3.22, 8 Mg 3.22-3.38, 2 Ca 3.29-3.34
This is by no means complete, but you can create an instance and pass it a 'namespace'. The rest of Zend_Auth's public methods should be fine for you.
class My_Auth extends Zend_Auth
public function __construct($namespace) {
$this->setStorage(new Zend_Auth_Storage_Session($namespace));
// do other stuff
static function getInstance() {
throw new Zend_Auth_Exception('I do not support getInstance');
Then where you want to use it, $auth = new My_Auth('CMSUser'); or $auth = new My_Auth('SiteUser');
class App_Auth
const DEFAULT_NS = 'default';
protected static $instance = array();
protected function __clone(){}
protected function __construct() {}
static function getInstance($namespace = self::DEFAULT_NS) {
if(!isset(self::$instance[$namespace]) || is_null(self::$instance[$namespace])) {
self::$instance[$namespace] = Zend_Auth::getInstance();
self::$instance[$namespace]->setStorage(new Zend_Auth_Storage_Session($namespace));
return self::$instance[$namespace];
Try this one , just will need to use App_Auth instead of Zend_Auth everywhere, or App_auth on admin's area, Zend_Auth on front
that is my suggestion :
i think you are in case that you should calculate ACL , recourses , roles dynamically ,
example {md5(siteuser or cmsuser + module + controller)= random number for each roles }
and a simple plugin would this role is allowed to this recourse
or you can build like unix permission style but i guess this idea need alot of testing
one day i will build one like it in ZF :)
i hope my idea helps you
You're mixing problems. (not that I didn't when I first faced id)
Zend_Auth answers the question "is that user who he claims to be"? What you can do is to add some more info to your persistence object. Easiest option is to add one more column into your DB and add it to result.